A Hero By Any Other Color

As a middle class white kid, I grew up having thousands of characters I could relate to or see myself as, while my friend Maya Hanks had maybe three. Possibly, If a Black child sees Superman, he dreams of being LIKE him. But if a Black child sees Black Panther, he dreams he could BE him. Representation is exceptionally important, especially for people of color in this country…

Jake_cosplays - Ultra Instinct Cosplayer!!!

As I was at Essex Junction in Bloomfield, NJ; USA, scrolling through the ‘gram, observing the wonderful cosplay digitally, there was this cosplayer, whose rendition of Sasuke was spot on. He was able to cover the famed anime’ protagonist/antagonist with such flare that I started following him.  As I continued to admire his cosplay, he started venturing into other cosplay characters; from Itachi from the famed series, Naruto, to Negan from AMC’s Walking Dead, to resembling a Mob Boss in the famed Power series (assuming here); his incorporation of the right photographers, lighting and attention to detail in their environment was more than enough for Region 99 to contact him and investigate the reason why he’s so dedicated to his craft…. This is Jake_cosplays and this is his story.

Ghost: A New Face for #girlpower #blackgirlmagic in the Marvel Cinematic Universe.

In 2018, more women are assuming lead roles in movies and are finally getting the acknowledgement they deserve for those roles. In the Movie: Ant-Man and The Wasp the, Marvel Cinematic Universe welcomes Ghost (played by Hannah John Kamen). Now while the Ghost of the Marvel Cinematic Universe adopts a new progressive spin from the comic book version, this MCU villain does not get the same focus fitting her status as other MCU baddies.

 Keeping it Trill….A Conversation with Anthony Piper.

I never heard of Trill League… until I saw the Complex article that showed how awesome Trill League was. This prompted me to purchase the digital copy of the Black Book and I was immediately hooked. This comic was so hilarious, I decided to interview the artist behind it. I introduce to you readers the all-around cool as hell person of the graphic novel Trill League, Anthony Piper.

Great Hera! Susan Eisenberg Voices A Goddess.

Since 2000, one woman has been the voice of Wonder Woman, the most iconic female superhero of all time. That voice belongs to Susan Eisenberg.

When the Justice League animated series first aired on Cartoon Network, it was the latest addition to the DC Animated Universe, which had already seen the likes of Batman: The Animated Series, Superman, and Batman Beyond. Superman and Batman had been on the contemporary small screen for years, but it wasn’t until Justice League did fans get to see and hear the iconic Wonder Woman. To this day, when you ask a fan who their Wonder Woman is, Ms. Eisenberg’s portrayal is the one that comes to mind.

I was fortunate to gain some insight into what it is like to voice a legendary character like Wonder Woman.

Entrepreneur, Leader, Science Enthusiast: The Rise of Dawn Hockaday

********
# Li2MnF4 (PBE with a Hubbard U, optimized geometry)
# Energy above the most stable polymorph in this dataset = 21.1 meV/atom
# Final energy = -5.48 eV per atom
# SG = Pbam
# Formation energy from the elements = -3.04 eV/atom
data_Li2MnF4
_chemical_formula_sum 'Li4 Mn2 F8'
_cell_length_a 3.1470
_cell_length_b 5.0497
_cell_length_c 10.0988
_cell_angle_alpha 90.00
_cell_angle_beta 90.00
_cell_angle_gamma 90.00
_symmetry_space_group_name_H-M 'P 1'
_symmetry_Int_Tables_number 1
_symmetry_space_group_name_Hall 'P 1'
loop_
_atom_site_label
_atom_site_type_symbol
_atom_site_fract_x
_atom_site_fract_y
_atom_site_fract_z
F1 F 0.0000 0.7569 0.8269
F2 F 0.5000 0.2183 0.9018
F3 F 0.5000 0.7183 0.5982
F4 F 0.0000 0.2569 0.6731
F5 F 0.0000 0.7431 0.3269
F6 F 0.5000 0.7817 0.0982
F7 F 0.5000 0.2817 0.4018
F8 F 0.0000 0.2431 0.1731
Mn1 Mn 0.0000 0.5000 0.5000
Mn2 Mn 0.0000 0.0000 0.0000
Li1 Li 0.5000 0.0297 0.7088
Li2 Li 0.5000 0.9703 0.2912
Li3 Li 0.5000 0.4703 0.2088
Li4 Li 0.5000 0.5297 0.7912

# LiVF4 (PBE with a Hubbard U, optimized geometry)
# Energy above the most stable polymorph in this dataset = 76.3 meV/atom
# Final energy = -5.66 eV per atom
# SG = P2_1/c
# Formation energy from the elements = -3.14 eV/atom
data_LiVF4
_chemical_formula_sum 'Li4 V4 F16'
_cell_length_a 5.9852
_cell_length_b 5.2710
_cell_length_c 10.8327
_cell_angle_alpha 67.42
_cell_angle_beta 90.00
_cell_angle_gamma 90.00
_symmetry_space_group_name_H-M 'P 1'
_symmetry_Int_Tables_number 1
_symmetry_space_group_name_Hall 'P 1'
loop_
_atom_site_label
_atom_site_type_symbol
_atom_site_fract_x
_atom_site_fract_y
_atom_site_fract_z
V1 V 0.6544 0.2369 0.0049
V2 V 0.3456 0.7631 0.9951
V3 V 0.1544 0.7631 0.4951
V4 V 0.8456 0.2369 0.5049
F1 F 0.9177 0.0448 0.3877
F2 F 0.4177 0.9552 0.1123
F3 F 0.1322 0.9982 0.8838
F4 F 0.8505 0.4803 0.8652
F5 F 0.9092 0.4720 0.6103
F6 F 0.0908 0.5280 0.3897
F7 F 0.0823 0.9552 0.6123
F8 F 0.6495 0.4803 0.3652
F9 F 0.3678 0.9982 0.3838
F10 F 0.6322 0.0018 0.6162
F11 F 0.4092 0.5280 0.8897
F12 F 0.3505 0.5197 0.6348
F13 F 0.1495 0.5197 0.1348
F14 F 0.8678 0.0018 0.1162
F15 F 0.5908 0.4720 0.1103
F16 F 0.5823 0.0448 0.8877
Li1 Li 0.6073 0.6215 0.7162
Li2 Li 0.8927 0.6215 0.2162
Li3 Li 0.3927 0.3785 0.2838
Li4 Li 0.1073 0.3785 0.7838

# KLaDyMnO6 (PBE with a Hubbard U, optimized geometry)
# Final energy = -7.06 eV per atom
# SG = F-43m
# Formation energy from the elements = -2.69 eV/atom
data_KLaDyMnO6
_chemical_formula_sum 'K1 La1 Dy1 Mn1 O6'
_cell_length_a 5.7960
_cell_length_b 5.7960
_cell_length_c 5.7960
_cell_angle_alpha 60.00
_cell_angle_beta 60.00
_cell_angle_gamma 60.00
_symmetry_space_group_name_H-M 'P 1'
_symmetry_Int_Tables_number 1
_symmetry_space_group_name_Hall 'P 1'
loop_
_atom_site_label
_atom_site_type_symbol
_atom_site_fract_x
_atom_site_fract_y
_atom_site_fract_z
Mn1 Mn 0.5000 0.5000 0.5000
K1 K 0.2500 0.2500 0.2500
O1 O 0.2676 0.7324 0.2676
O2 O 0.7324 0.7324 0.2676
O3 O 0.2676 0.7324 0.7324
O4 O 0.2676 0.2676 0.7324
O5 O 0.7324 0.2676 0.7324
********

Dawn Hockaday is the CEO of Sista Ink Magazine and Supernova Creative Studios. Her rise from working in media as a marketing and promotions agent to CEO was very arduous. Dedicated to being herself and staying true to her soul, Dawn has become a force in the media industry by always focusing on the client and their needs. Dawn’s work is the true embodiment of what it means to never give up in the face of adversity and inequality.

Eat. Sleep. Draw. The Life of Paul Walcott

Paul’s influences are a combination of both American comic books and Japanese manga. He is a man, who bleeds creativity, is full of imagination and speaks art. He is a serious illustrator who was trained under the House of Kubert (The Kubert School of Cartoon and Graphic Art) and his illustrations have a style that resembles both Japanese manga and American comic books. Following the mantra “Eat-Sleep-Draw”, Paul’s ability is in high demand as people far and wide ask and are willing to pay great money for his commissioned pieces.Paul Walcott’s contribution, to the comic book industry offers a belief that pursuing your dream in the comic book empire can still come true.

Jesse Cohen: Wize Guy

 A hard man to contact, a series of phone calls for two weeks was all it took to interview one of the greatest collectible sellers along the east coast. Since seven to eight years of age, he has been selling collectibles, such as trading cards and comic books to his peers. It was when he obtained an “epic comic book collection” as he calls it, that he started  building his comic channels, by creating a network with various comic book stores and his customers.

Interview with an Artist: Tatiana Battle

On Friday, July 17th, 2015, an artist walked into Merseles Studios, in Jersey City. As she walked up the stairs, she was met by a person who was holding a Casting Call for artists. This casting call was unlike any other. It was an opportunity for an up and coming artist to showcase their work in one of the most popularized trade shows in America...with her fiery determination and portfolio in tow, she was prepared for an opportunity of a lifetime which was the equivalent to an artist’s version of American Idol.